The future of a former hospital site in Northamptonshire has become a contentious issue, as recent developments reveal an appeal to convert the area into residential homes. Despite the council's initial dismissal and considerable public resistance, developers are pushing forward with their ambitious plans.

A Controversial Proposal: The Genesis

Appeal To Convert Former Northamptonshire Hospital Site Into Homes


The proposal to transform the disused hospital site in Northamptonshire into modern homes has ignited substantial debate among local residents and council members alike. Initially put forward several months ago, the plan envisioned the creation of a residential community that could potentially alleviate some of the region's housing shortages.

However, this vision did not sit well with everyone. Concerns about infrastructure, environmental impact, and the preservation of historical landmarks fueled a wave of objections. North Northamptonshire Council received over 80 formal submissions opposing the project, a significant indication of the community's apprehensions.

Misplaced records of crystals =
-- begin --
No. 1
# LiCd3
Theoretical powder X-ray diffraction pattern, λ = 1.5418 Å (Cu Kα). Input: a cell relaxed with GGA-PBE.
Intensities are scaled so that the largest is 100.

Structural model:
a b c (Å): 5.7575 5.7575 5.7575
angles (deg): 147.95 66.07 123.92
Fractional coordinates of all 4 atoms:
Li: 0.0000 0.0000 0.0000
Cd: 0.4116 0.6650 0.7466
Cd: 0.4999 0.9999 0.5000
Cd: 0.9184 0.6650 0.2534

Peak list (12 most intense, 10° ≤ 2θ ≤ 90°, low angle first)
18.38°, I 19; 18.79°, I 35; 32.67°, I 31; 33.10°, I 15; 37.26°, I 33; 37.74°, I 100; 38.12°, I 48; 50.38°, I 17; 58.85°, I 17; 67.51°, I 17; 71.58°, I 15; 71.75°, I 18

***

No. 2
# Li3Cd
Theoretical powder X-ray diffraction pattern, λ = 1.5418 Å (Cu Kα). Input: a cell relaxed with GGA-PBE.
Intensities are scaled so that the largest is 100.

Structural model:
a b c (Å): 5.7382 5.7382 4.5604
angles (deg): 90.00 90.00 79.47
Fractional coordinates of all 8 atoms:
Li: 0.1061 0.8939 0.7500
Li: 0.1439 0.3975 0.7500
Li: 0.3975 0.1439 0.2500
Li: 0.6025 0.8561 0.7500
Li: 0.8561 0.6025 0.2500
Li: 0.8939 0.1061 0.2500
Cd: 0.3496 0.6504 0.2500
Cd: 0.6504 0.3496 0.7500

Peak list (12 most intense, 10° ≤ 2θ ≤ 90°, low angle first)
15.71°, I 78; 20.12°, I 65; 25.11°, I 100; 31.30°, I 39; 37.49°, I 67; 38.19°, I 24; 38.43°, I 35; 39.52°, I 16; 44.74°, I 16; 52.39°, I 18; 56.13°, I 15; 58.15°, I 15

***

No. 3
# Li4Cd
Theoretical powder X-ray diffraction pattern, λ = 1.5418 Å (Cu Kα). Input: a cell relaxed with GGA-PBE.
Intensities are scaled so that the largest is 100.

Structural model:
a b c (Å): 4.9303 6.0881 7.5533
angles (deg): 90.00 126.26 90.00
Fractional coordinates of all 10 atoms:
Li: 0.0741 0.2091 0.0692
Li: 0.0741 0.2909 0.5692
Li: 0.2932 0.5705 0.2919
Li: 0.2932 0.9295 0.7919
Li: 0.7068 0.0705 0.2081
Li: 0.7068 0.4295 0.7081
Li: 0.9259 0.7091 0.4308
Li: 0.9259 0.7909 0.9308
Cd: 0.5000 0.0000 0.5000
Cd: 0.5000 0.5000 0.0000

Peak list (12 most intense, 10° ≤ 2θ ≤ 90°, low angle first)
20.63°, I 100; 22.36°, I 40; 23.26°, I 72; 24.11°, I 33; 29.33°, I 44; 36.60°, I 47; 37.20°, I 28; 38.33°, I 26; 38.87°, I 25; 41.31°, I 16; 43.35°, I 14; 47.19°, I 31

***

No. 4
# Li3Cd7
Theoretical powder X-ray diffraction pattern, λ = 1.5418 Å (Cu Kα). Input: a cell relaxed with GGA-PBE.
Intensities are scaled so that the largest is 100.

Structural model:
a b c (Å): 8.0143 8.0143 5.9651
angles (deg): 110.46 110.46 33.85
Fractional coordinates of all 10 atoms:
Li: 0.0000 0.0000 0.0000
Li: 0.1972 0.1972 0.7138
Li: 0.8028 0.8028 0.2862
Cd: 0.0000 0.0000 0.5000
Cd: 0.1992 0.1992 0.2105
Cd: 0.3913 0.3913 0.6331
Cd: 0.3920 0.3920 0.1325
Cd: 0.6080 0.6080 0.8675
Cd: 0.6087 0.6087 0.3669
Cd: 0.8008 0.8008 0.7895

Peak list (12 most intense, 10° ≤ 2θ ≤ 90°, low angle first)
20.02°, I 19; 23.62°, I 19; 24.22°, I 26; 27.12°, I 31; 27.47°, I 26; 36.17°, I 39; 36.44°, I 61; 36.91°, I 100; 38.59°, I 46; 38.86°, I 29; 39.89°, I 19; 55.92°, I 19

***

No. 5
# Li5Cd2
-- stop --

Overwhelming Public Opposition

One of the most striking aspects of the situation is the sheer volume of public dissent. More than 80 objections were meticulously filed, each echoing concerns ranging from increased traffic congestion to the potential loss of green spaces. Residents voiced fears over the strain on local amenities and services, which are already stretched thin.

The objections also highlighted worries about the project's environmental footprint. Critics argued that the development would disrupt local wildlife habitats and lead to a significant increase in pollution levels. Furthermore, the site's historical significance added another layer of complexity, with numerous parties advocating for the preservation of its heritage.

Council's Initial Rejection and Developers' Determination

Faced with such strong opposition, North Northamptonshire Council initially rejected the proposal. The decision was seen as a victory for the community, reflecting the council's responsiveness to public sentiment. Yet, this was far from the end of the matter.

Undeterred by the setback, the developers have now lodged an appeal, seeking to overturn the council's decision. They argue that the new residential project would bring much-needed housing to the area and stimulate local economic growth. The developers also claim to have revised their plans to address some of the concerns raised, including enhanced green spaces and improved infrastructure support.

-- Records of crystals, kept here for reference --
-- begin --
# 1
Theoretical XRD peak list
Compound: Y3Zn9Co2
Radiation: CuKα
Structure: a DFT-relaxed cell (GGA-PBE, Alexandria)

Top 8 peaks for 10° ≤ 2θ ≤ 90°, low angle first:
d (Å), I_rel
2.545, 25
2.486, 100
2.445, 25
2.405, 18
2.306, 23
2.146, 46
1.994, 25
1.930, 30

Structural model:
```
Y3Zn9Co2
1.0
-2.1463 4.5820 6.1213
2.1463 -4.5820 6.1213
2.1463 4.5820 -6.1213
Y Zn Co
3 9 2
direct
0.0000 0.0000 0.0000 Y
0.3082 0.3082 0.0000 Y
0.6918 0.6918 0.0000 Y
0.0135 0.6552 0.3583 Zn
0.1577 0.8780 0.2797 Zn
0.2969 0.6552 0.6417 Zn
0.4017 0.1220 0.2797 Zn
0.5000 0.0000 0.5000 Zn
0.5983 0.8780 0.7203 Zn
0.7031 0.3448 0.3583 Zn
0.8423 0.1220 0.7203 Zn
0.9865 0.3448 0.6417 Zn
0.3255 0.5000 0.8255 Co
0.6745 0.5000 0.1745 Co
```

---

# 2
Theoretical XRD peak list
Compound: YZrCo4
Radiation: CuKα
Structure: a DFT-relaxed cell (GGA-PBE, Alexandria)

Top 8 peaks for 10° ≤ 2θ ≤ 90°, low angle first:
d (Å), I_rel
2.492, 42
2.125, 100
2.035, 28
1.762, 1
1.439, 14
1.357, 29
1.246, 23
1.115, 6

Structural model:
```
YZrCo4
1.0
0.0000 3.5247 3.5247
3.5247 0.0000 3.5247
3.5247 3.5247 0.0000
Y Zr Co
1 1 4
direct
0.0000 0.0000 0.0000 Y
0.7500 0.7500 0.7500 Zr
0.3753 0.3753 0.3753 Co
0.3753 0.3753 0.8741 Co
0.3753 0.8741 0.3753 Co
0.8741 0.3753 0.3753 Co
```

---

# 3
Theoretical XRD peak list
Compound: YZrCo10
Radiation: CuKα
Structure: a DFT-relaxed cell (GGA-PBE, Alexandria)

Top 8 peaks for 10° ≤ 2θ ≤ 90°, low angle first:
d (Å), I_rel
2.879, 29
2.422, 25
2.098, 32
2.066, 100
1.979, 31
1.853, 22
1.440, 18
1.318, 14

Structural model:
```
YZrCo10
1.0
3.9587 0.0000 0.0000
0.0000 4.8395 0.0000
0.0000 0.0000 8.3986
Y Zr Co
1 1 10
direct
0.0000 0.0000 0.0000 Y
0.0000 0.5000 0.5000 Zr
0.0000 0.0000 0.3421 Co
0.0000 0.0000 0.6579 Co
0.0000 0.5000 0.1778 Co
0.0000 0.5000 0.8222 Co
0.5000 0.0000 0.5000 Co
0.5000 0.2528 0.2551 Co
0.5000 0.2528 0.7449 Co
0.5000 0.5000 0.0000 Co
0.5000 0.7472 0.2551 Co
0.5000 0.7472 0.7449 Co
```


Calculated powder diffractogram
Compound: NaTl7Pb2
Radiation: copper Kα
Structure: DFT lattice parameters and positions (GGA-PBE)

Largest 6 diffraction maxima, in order of rising 2θ, 2θ = 10–90°:
d (Å)	I (rel.)
3.152	48
2.707	100
2.639	57
1.890	22
1.563	20
1.550	23

Cell and atoms:
a = 5.4140 Å, b = 5.4140 Å, c = 12.7724 Å
α = 90.00°, β = 90.00°, γ = 120.00°
Fractional coordinates of all 10 atoms:
Na 0.0000 0.0000 0.0000
Tl 0.0000 0.0000 0.3120
Tl 0.0000 0.0000 0.7099
Tl 0.3333 0.6667 0.1067
Tl 0.3333 0.6667 0.5154
Tl 0.6667 0.3333 0.1520
Tl 0.6667 0.3333 0.6418
Tl 0.6667 0.3333 0.8983
Pb 0.3333 0.6667 0.8168
Pb 0.6667 0.3333 0.3940

Calculated powder diffractogram
Compound: NaTl4Pb
Radiation: copper Kα
Structure: DFT lattice parameters and positions (GGA-PBE)

Largest 6 diffraction maxima, in order of rising 2θ, 2θ = 10–90°:
d (Å)	I (rel.)
2.881	53
2.839	51
2.814	100
2.517	37
2.484	37
2.375	31

Cell and atoms:
a = 4.7523 Å, b = 6.0637 Å, c = 7.0329 Å
α = 107.35°, β = 90.54°, γ = 111.56°
Fractional coordinates of all 6 atoms:
Na 0.0000 0.0000 0.0000
-- stop --

The Road Ahead: A Community Divided

# Attached: records of crystals
~~~
1.
Theoretical XRD peak list of CdHgAu2 for Cu Kα, 1.54184 Å, from a PBE-relaxed structure.
Neutral-atom scattering factors, no anomalous dispersion.

Cell and atoms:
```
data_CdHgAu2
_chemical_formula_sum 'Cd1 Hg1 Au2'
_cell_length_a 5.360
_cell_length_b 5.360
_cell_length_c 5.360
_cell_angle_alpha 134.23
_cell_angle_beta 133.36
_cell_angle_gamma 67.41
_symmetry_space_group_name_H-M 'P 1'
_symmetry_Int_Tables_number 1
_symmetry_space_group_name_Hall 'P 1'
loop_
_atom_site_label
_atom_site_type_symbol
_atom_site_fract_x
_atom_site_fract_y
_atom_site_fract_z
_atom_site_occupancy
Cd1 Cd 0.000 0.000 0.000 1
Hg1 Hg 0.251 0.751 0.500 1
Au1 Au 0.501 0.501 0.000 1
Au2 Au 0.750 0.250 0.500 1
```

The 10 most intense peaks (2θ = 10–90°), in order of rising 2θ:
2θ (°)	d (Å)	I_rel
36.31	2.474	1000
40.46	2.230	186
42.60	2.122	161
43.41	2.084	152
60.20	1.537	116
60.84	1.523	112
70.88	1.330	144
73.86	1.283	129
75.01	1.266	123
77.09	1.237	115


2.
Theoretical XRD peak list of K2TmZn2Te4 for Cu Kα, 1.54184 Å, from a PBE-relaxed structure.
Neutral-atom scattering factors, no anomalous dispersion.

Cell and atoms:
```
data_K2TmZn2Te4
_chemical_formula_sum 'K2 Tm1 Zn2 Te4'
_cell_length_a 8.413
_cell_length_b 8.413
_cell_length_c 8.297
_cell_angle_alpha 108.78
_cell_angle_beta 108.78
_cell_angle_gamma 32.46
_symmetry_space_group_name_H-M 'P 1'
_symmetry_Int_Tables_number 1
_symmetry_space_group_name_Hall 'P 1'
loop_
_atom_site_label
_atom_site_type_symbol
_atom_site_fract_x
_atom_site_fract_y
_atom_site_fract_z
_atom_site_occupancy
K1 K 0.131 0.131 0.068 1
K2 K 0.869 0.869 0.932 1
Tm1 Tm 0.000 0.000 0.500 1
Zn1 Zn 0.326 0.326 0.501 1
Zn2 Zn 0.674 0.674 0.499 1
Te1 Te 0.203 0.203 0.676 1
Te2 Te 0.490 0.490 0.741 1
Te3 Te 0.510 0.510 0.259 1
Te4 Te 0.797 0.797 0.324 1
```

The 10 most intense peaks (2θ = 10–90°), in order of rising 2θ:
2θ (°)	d (Å)	I_rel
11.32	7.817	1000
21.82	4.074	290
23.38	3.805	204
28.75	3.105	609
29.35	3.043	223
30.41	2.940	462
30.63	2.919	223
38.27	2.352	534
38.55	2.335	411
44.70	2.027	205


3.
Theoretical XRD peak list of Pm3IrPd for Cu Kα, 1.54184 Å, from a PBE-relaxed structure.
Neutral-atom scattering factors, no anomalous dispersion.

Cell and atoms:
```
data_Pm3IrPd
_chemical_formula_sum 'Pm12 Ir4 Pd4'
_cell_length_a 8.082
_cell_length_b 6.848
_cell_length_c 10.441
_cell_angle_alpha 90.00
_cell_angle_beta 112.78
_cell_angle_gamma 90.00
_symmetry_space_group_name_H-M 'P 1'
_symmetry_Int_Tables_number 1
_symmetry_space_group_name_Hall 'P 1'
loop_
_atom_site_label
_atom_site_type_symbol
_atom_site_fract_x
_atom_site_fract_y
_atom_site_fract_z
_atom_site_occupancy
Pm1 Pm 0.153 0.049 0.321 1
Pm2 Pm 0.153 0.451 0.821 1
Pm3 Pm 0.233 0.507 0.508 1
Pm4 Pm 0.233 0.993 0.008 1
Pm5 Pm 0.339 0.528 0.190 1
Pm6 Pm 0.339 0.972 0.690 1
Pm7 Pm 0.661 0.028 0.310 1
Pm8 Pm 0.661 0.472 0.810 1
Pm9 Pm 0.767 0.007 0.992 1
Pm10 Pm 0.767 0.493 0.492 1
Pm11 Pm 0.847 0.549 0.179 1
Pm12 Pm 0.847 0.951 0.679 1
Ir1 Ir 0.031 0.201 0.557 1
Ir2 Ir 0.031 0.299 0.057 1
~~~

As the appeal process unfolds, the community remains sharply divided. Supporters of the development point to the undeniable need for more housing and the potential for job creation and economic revitalisation. They emphasise that with appropriate planning and safeguards, the project can coexist with the area's historic and environmental values.

Conversely, opponents remain resolute, committed to preserving their vision of Northamptonshire's future. For them, the battle represents more than just a development dispute; it's a stand against perceived overdevelopment and a fight to maintain the character and integrity of their community.


The appeal to convert the former Northamptonshire hospital site into residential homes epitomises a classic clash of progress versus preservation. As North Northamptonshire Council deliberates on the appeal, the stakes are high for all involved. Whether the development goes ahead or not, this episode will undoubtedly leave a lasting imprint on the community, shaping the landscape—both physical and socio-political—of Northamptonshire for years to come. The outcome of this appeal will serve as a poignant reminder of the delicate balance required in urban planning and development, highlighting the importance of inclusive dialogue and careful consideration of all stakeholders' interests.